Data.
Record 1
{
  "formula": "C23H22AlN6O",
  "method": "ωB97M-V/def2-TZVPD",
  "homo_ev": -17.7,
  "multiplicity": 1,
  "gap_ev": 8.274,
  "e_above_lowest_kj_mol": 0.0,
  "charge": 3,
  "symbols": ["Al", "C", "C", "N", "C", "C", "C", "C", "C", "C", "C", "C", "C", "N", "C", "H", "H", "H", "H", "H", "H", "H", "H", "N", "C", "C", "C", "C", "C", "C", "C", "C", "N", "C", "H", "H", "H", "H", "H", "H", "H", "H", "C", "N", "C", "N", "O", "H", "H", "H", "H", "H", "H"],
  "positions_angstrom": [[0.31029, -0.12928, -0.28864], [0.76655, 0.21578, 3.96889], [0.90921, 0.44649, 2.60273], [0.27011, -0.28314, 1.69046], [-0.52515, -1.29813, 2.11318], [-0.73057, -1.60120, 3.45639], [-0.05513, -0.80157, 4.39842], [-1.59621, -2.69559, 3.79842], [-2.19565, -3.42554, 2.83377], [-1.97986, -3.13437, 1.44233], [-2.56567, -3.86647, 0.39184], [-2.29614, -3.51630, -0.90996], [-1.44312, -2.44820, -1.16732], [-0.86281, -1.73370, -0.20198], [-1.14448, -2.07847, 1.09066], [1.29984, 0.83818, 4.67401], [1.54749, 1.24180, 2.23650], [-0.18553, -0.99448, 5.45700], [-1.75748, -2.92533, 4.84398], [-2.84715, -4.25042, 3.09299], [-3.22528, -4.69706, 0.61473], [-2.73309, -4.05576, -1.73884], [-1.23948, -2.17573, -2.19299], [0.31498, -0.00070, -2.35448], [-0.58526, 1.08088, -2.76735], [-0.87250, 1.38593, -4.06545], [-1.74029, 2.45939, -4.35901], [-2.28974, 3.19907, -3.34952], [-1.99920, 2.89458, -1.99734], [-2.53348, 3.60942, -0.90420], [-2.20924, 3.24025, 0.37717], [-1.35362, 2.16087, 0.57744], [-0.81567, 1.46168, -0.42190], [-1.13809, 1.82184, -1.71226], [1.26112, 0.22051, -2.66395], [0.07850, -0.84613, -2.86897], [-0.43946, 0.81203, -4.87785], [-1.96229, 2.69227, -5.39154], [-2.95374, 4.02548, -3.57093], [-3.19913, 4.44518, -1.08487], [-2.60755, 3.76675, 1.23300], [-1.10288, 1.85284, 1.58334], [5.46524, 1.19429, -0.37193], [4.00190, 1.06165, -0.36881], [3.35929, -0.08909, -0.30797], [4.02506, -1.23493, -0.25255], [2.06946, -0.11119, -0.31477], [5.70976, 2.24982, -0.42353], [5.89721, 0.69738, -1.24006], [5.89193, 0.79174, 0.54676], [3.44239, 1.89615, -0.43851], [5.03270, -1.26069, -0.23500], [3.53192, -2.10878, -0.18152]],
  "lowdin_charge": [0.26, 0.02, -0.05, 0.07, -0.11, -0.10, 0.08, 0.04, 0.04, -0.10, 0.08, 0.02, -0.04, 0.10, -0.10, 0.14, 0.14, 0.15, 0.14, 0.14, 0.15, 0.14, 0.12, 0.14, -0.19, 0.04, 0.00, 0.03, -0.11, 0.08, 0.01, -0.04, 0.09, -0.13, 0.14, 0.12, 0.14, 0.13, 0.14, 0.15, 0.14, 0.12, -0.01, 0.07, -0.47, 0.26, 0.05, 0.11, 0.11, 0.11, 0.16, 0.13, 0.15]
}

---

Record 2
{
  "formula": "C23H22AuBrN6O2Se",
  "method": "ωB97M-V/def2-TZVPD",
  "homo_ev": -13.5,
  "multiplicity": 1,
  "gap_ev": 5.937,
  "e_above_lowest_kj_mol": 6.7,
  "charge": 2,
  "symbols": ["Au", "Se", "N", "C", "C", "C", "C", "C", "N", "C", "C", "N", "C", "C", "C", "C", "C", "N", "H", "H", "H", "H", "H", "H", "C", "C", "C", "C", "N", "N", "H", "H", "H", "H", "H", "H", "H", "H", "H", "H", "H", "H", "Br", "C", "C", "C", "C", "C", "C", "C", "O", "O", "H", "H", "H", "H"],

Activity.
Your job: retype every line above that contains the word "Au".

Written answer.
  "symbols": ["Au", "Se", "N", "C", "C", "C", "C", "C", "N", "C", "C", "N", "C", "C", "C", "C", "C", "N", "H", "H", "H", "H", "H", "H", "C", "C", "C", "C", "N", "N", "H", "H", "H", "H", "H", "H", "H", "H", "H", "H", "H", "H", "Br", "C", "C", "C", "C", "C", "C", "C", "O", "O", "H", "H", "H", "H"],